The new war, however, will not be played out on the front lines or with hypersonic rockets. These will be left to fight against technologically weak countries and those outside important alliances. A good bogey, but it destroys what is valuable: every piece of land or water. Meanwhile, gaining benefits comes down to other ways, more subtle than the tank and the rocket. Economic pressure and the acquisition of strategic companies are one thing. This has been going on for a long time. The second issue will be technological development, work on new energy sources, genetic engineering, computerization and miniaturization. Great Britain will have to take leading part in this.
Between two parts of the piece: data records =
+++
Structure and calculated X-ray powder pattern of SbSBr3F6 (a structure optimized by DFT (PBE); Cu Kα).
Kinematic intensities with the Lorentz-polarization factor, no thermal factor.

The 6 most intense peaks (2θ = 15–90°), sorted by position:
| 2θ/deg | I_rel | hkl |
| --- | --- | --- |
| 20.74 | 100 | 1 1 2 |
| 21.40 | 42 | 2 0 0 |
| 24.66 | 43 | 1 2 -2 |
| 25.91 | 32 | 2 1 -2 |
| 29.10 | 26 | 1 0 -4 |
| 29.35 | 26 | 1 3 0 |

Atomic structure:
```
data_SbSBr3F6
_symmetry_space_group_name_H-M 'P 1 21/c 1'
_symmetry_Int_Tables_number 14
_symmetry_space_group_name_Hall '-P 2ybc'
_cell_length_a 8.3634
_cell_length_b 9.8117
_cell_length_c 12.6963
_cell_angle_alpha 90.00
_cell_angle_beta 96.72
_cell_angle_gamma 90.00
loop_
_atom_site_label
_atom_site_fract_x
_atom_site_fract_y
_atom_site_fract_z
_atom_site_occupancy
Sb1 0.2045 0.2277 0.0613 1
S1 0.2065 0.6969 0.7127 1
Br1 0.2067 0.5964 0.2753 1
Br2 0.2630 0.5660 0.8516 1
Br3 0.4223 0.6894 0.6306 1
F1 0.0002 0.2216 0.4869 1
F2 0.1220 0.0521 0.0943 1
F3 0.1403 0.2000 0.6906 1
F4 0.2699 0.1560 0.9310 1
F5 0.2916 0.0970 0.5277 1
F6 0.4114 0.1789 0.1325 1
```


For TlTeWO6, a crystal structure in Alexandria, relaxed with GGA+U gives the simulated XRD peak list in this record (Cu Kα (λ = 1.5418 Å)).
Kinematic intensities with the Lorentz-polarization factor, no thermal factor.

Main lines, low angle first (2θ from 5° to 70°):
- 2θ 23.68, intensity 100
- 2θ 28.76, intensity 15
- 2θ 32.88, intensity 35
- 2θ 40.92, intensity 20
- 2θ 44.23, intensity 41
- 2θ 48.00, intensity 13
- 2θ 53.46, intensity 22
- 2θ 66.66, intensity 10

Structure:
```
data_TlTeWO6
_symmetry_space_group_name_H-M 'P 3 1 2'
_symmetry_Int_Tables_number 149
_cell_length_a 5.4484
_cell_length_b 5.4484
_cell_length_c 6.2084
_cell_angle_alpha 90.00
_cell_angle_beta 90.00
_cell_angle_gamma 120.00
loop_
_symmetry_equiv_pos_as_xyz
'x,y,z'
'-y,x-y,z'
'-x+y,-x,z'
'-y,-x,-z'
'-x+y,y,-z'
'x,x-y,-z'
loop_
_atom_site_label
_atom_site_fract_x
_atom_site_fract_y
_atom_site_fract_z
_atom_site_occupancy
Tl1 0.0000 0.0000 0.0000 1
Te1 0.6667 0.3333 0.5000 1
W1 0.3333 0.6667 0.5000 1
O1 0.0078 0.4081 0.6827 1
```
+++
Britain has an excellent network of first-class universities and an excellent base for further research. Has been recruiting talented people from all over the world for years and this is what should continue to do. Even low-skilled immigrants will give birth to children who'll be educated in English schools and contribute to the wealth and progress.
Gaining benefits and global thinking (connected vessels) will be realized more subtly and carefully. However, it must not be forgotten that not everyone is careful and subtle and the UK must be prepared for that. Espionage is as old as rivalry between tribes, and the British are successful in this matter. The effect has been spoiled by several raids by Russian agents in Great Britain, but there is no case that cannot be improved. Espionage will be used to protect against the temptations of others and to obtain information that may help protect against attack. Economic (technological) espionage won't matter so much, rather to protect from stealing what will be created in Britain.
## Attached: records of crystals
/*
The following is a theoretical XRD peak list of Mn4Ag3F12. It was derived from a structure optimized by DFT (GGA+U), using Cu Kα.

Top 10 peaks for 15° ≤ 2θ ≤ 90°, by angle:
- 5.798 Å, 2θ 15.28, I = 339
- 3.348 Å, 2θ 26.63, I = 159
- 2.899 Å, 2θ 30.84, I = 1000
- 2.367 Å, 2θ 38.01, I = 146
- 2.191 Å, 2θ 41.19, I = 110
- 2.050 Å, 2θ 44.18, I = 408
- 1.674 Å, 2θ 54.85, I = 454
- 1.450 Å, 2θ 64.26, I = 207
- 1.297 Å, 2θ 72.97, I = 159
- 1.096 Å, 2θ 89.43, I = 213

Cell and atoms:
a b c (Å): 7.101 7.101 7.101
angles (deg): 109.47 109.47 109.47
Element x y z (fractional)
Mn: 0.000 0.000 0.500
Mn: 0.000 0.500 0.000
Mn: 0.500 0.000 0.000
Mn: 0.500 0.500 0.500
Ag: 0.000 0.500 0.500
Ag: 0.500 0.000 0.500
Ag: 0.500 0.500 0.000
F: 0.073 0.783 0.290
F: 0.217 0.290 0.507
F: 0.217 0.710 0.927
F: 0.290 0.073 0.783
F: 0.290 0.507 0.217
F: 0.493 0.783 0.710
F: 0.507 0.217 0.290
F: 0.710 0.493 0.783
F: 0.710 0.927 0.217
F: 0.783 0.290 0.073
F: 0.783 0.710 0.493
F: 0.927 0.217 0.710

=====

# 1
Ca2Al2O5: computed PXRD pattern (a wavelength of 1.5418 Å), based on DFT lattice parameters and positions (PBE).
Intensities are scaled so that the largest is 100.

Most intense lines, 2θ from 10° to 90°, sorted by position:
Position (°2θ)	d (Å)	I (rel.)
12.18	7.264	64
24.70	3.604	58
33.09	2.707	98
33.31	2.690	100
33.84	2.649	86
34.31	2.613	62
44.49	2.036	49
46.94	1.936	65
48.37	1.882	55
50.24	1.816	48

Crystal structure
```
18
Lattice="3.7636 -7.2638 0.0000 3.7636 7.2638 0.0000 -3.7392 0.0000 3.8716" Properties=species:S:1:pos:R:3 pbc="T T T"
Ca 0.0101 2.0813 1.7397
Ca 0.0101 -2.0813 1.7397
Ca 3.7778 2.0813 2.1318
Ca 3.7778 -2.0813 2.1318
Al 1.8818 3.6319 0.0000
Al -1.3010 0.0000 3.8447
Al 1.8818 -3.6319 0.0000
Al 5.0890 0.0000 0.0269
O -2.1077 1.5680 3.8157
O 1.8940 3.5906 1.9358
O 3.7636 3.4603 0.0000
O -2.1077 -1.5680 3.8157
O 0.0572 0.0000 2.6060
O 3.7307 0.0000 1.2655
O 5.8956 1.5680 0.0559
O 3.7636 -3.4603 0.0000
O 1.8940 -3.5906 1.9358
O 5.8956 -1.5680 0.0559
```



# 2
Nb4Te3N2: computed PXRD pattern (a wavelength of 1.5418 Å), based on DFT lattice parameters and positions (PBE).
Intensities are scaled so that the largest is 100.

Most intense lines, 2θ from 10° to 90°, sorted by position:
Position (°2θ)	d (Å)	I (rel.)
10.99	8.049	68
16.85	5.262	43
31.42	2.847	52
33.13	2.704	62
33.32	2.689	46
34.10	2.629	100
36.10	2.488	60
36.91	2.435	45
38.27	2.352	44
41.70	2.166	68

Crystal structure
```
36
Lattice="5.7992 0.0000 0.0000 0.0000 10.5043 0.0000 0.0000 0.0000 12.5269" Properties=species:S:1:pos:R:3 pbc="T T T"
Nb 0.6309 2.6261 2.0481
Nb 0.9302 2.6261 5.5662
Nb 1.4002 0.4156 12.3744
Nb 1.4002 4.8365 12.3744
Nb 1.4994 5.6677 6.1109
Nb 1.4994 10.0887 6.1109
Nb 1.9694 7.8782 11.8296
Nb 2.2687 7.8782 8.3115
Nb 3.5305 2.6261 4.2154
Nb 3.8298 2.6261 0.6973
Nb 4.2998 0.4156 6.4160
Nb 4.2998 4.8365 6.4160
Nb 4.3990 5.6677 0.1525
Nb 4.3990 10.0887 0.1525
Nb 4.8690 7.8782 6.9608
Nb 5.1683 7.8782 10.4788
Te 0.2198 5.8099 8.5638
Te 0.2198 9.9465 8.5638
Te 0.7434 7.8782 4.5956
*/
The miniaturization of technology (also drones - nanodrons) will serve specific goals. Molecular biology and genetic engineering will help not only to produce food more efficiently, but also to protect against external dangers (is biological warfare still possible?). It is therefore, in Britain's best interest is to shift as much as possible to science and technology. Unfortunately, for the moment it is not a country that is at the forefront of innovation and inventiveness. Redirecting funds to these goals should be a priority for Westminster. This is not only a method for new sources of energy, but a development that science fiction writers cannot predict. Discovering one thing leads the thought to something new. 100 years ago it was difficult to predict today's smart phones.
Another issue is the foreign policy of alliances. Great Britain has shown more than once, that it cares about its interests regardless of ethical doubts. To obtain adequate security, this is the method that this country should continue. It will gain an advantage, support alliances with Turkey, China, and maybe even Russia, if English leaders manage to properly arrange matters with Putin. Thanks to this, Great Britain will again be one of the most important countries in world politics in a dozen or so years.